Vertex buffers are limited to 65K vertexes because of the 16-bits limitation of the index buffers. BigPrimitive allows you to easily create large buffers by spliting the buffers.


new(format:BufferFormat, ?alloc:Allocator)


@:value(false)hasTangents:Bool = false

@:value(true)isStatic:Bool = true


@:value({ stride : -1, scale : 1., rotation : 0., dz : 0., dy : 0., dx : 0. })add(buf:FloatBuffer, idx:IndexBuffer, dx:Float = 0., dy:Float = 0., dz:Float = 0., rotation:Float = 0., scale:Float = 1., stride:Int = -1):Void

Adds a complete object to the primitive, with custom position,scale,rotation. See addSub for complete documentation.

inlineaddBounds(x:Float, y:Float, z:Float):Void


inlineaddPoint(x:Float32, y:Float32, z:Float32):Void

This is similar to addVertexValue for X Y and Z, but will also update the bounds if you wish to have them calculated.

@:value({ mat : null, color : 1., deltaV : 0., deltaU : 0., stride : -1, scale : 1., rotation : 0., dz : 0., dy : 0., dx : 0. })@:noDebugaddSub(buf:FloatBuffer, idx:IndexBuffer, startVert:Int, startTri:Int, nvert:Int, triCount:Int, dx:Float = 0., dy:Float = 0., dz:Float = 0., rotation:Float = 0., scale:Float = 1., stride:Int = -1, deltaU:Float = 0., deltaV:Float = 0., color:Float = 1., ?mat:Matrix):Void

Adds a buffer to the primitive, with custom position,scale,rotation. The buffer can have more stride than the BigPrimitive, but not less. It is assumed that the buffer contains [X,Y,Z,NX,NY,NZ,U,V,R,G,B] (depending on his stride) so the different offsets are applied to the corresponding components. If hasTangent=true, we have [TX,TY,TZ] just after normal. However if the stride is 5, we assume [X,Y,Z,U,V] If mat is not null, it overrides dx, dy, dz, rotation, scale


begin(vcount:Int, icount:Int):Void

Call begin() before starting to add vertexes/indexes to the primitive. The count value is the number of vertexes you will add, it will automatically flush() if it doesn't fit into the current buffer.



Flush the current buffer. It is required to call begin() after a flush()

Inherited Variables

Defined by Primitive


The primitive vertex buffer, holding its vertexes data.


The primitive indexes buffer, holding its triangles indices.

@:value(0)read onlyrefCount:Int = 0

Current amount of references to this Primitive. Use incref and decref methods to affect this value. If it reaches 0, it will be atuomatically disposed.

Inherited Methods

Defined by Primitive


Allocate the primitive on GPU. Used for internal usage.

**These data records were left in the entry by mistake:**
____________
This record from Alexandria via LeMat-Bulk describes crystalline Sr2Pb2Au15 at its relaxed geometry. The functional is PBE-GGA.

Cell and atoms, written as POSCAR:
```
Sr2Pb2Au15
1.0
-0.279 4.376 -6.043
-1.878 -5.415 -4.785
-7.358 1.238 0.286
Au Sr Pb
15 2 2
Cartesian
-0.139 2.188 -3.022
-6.837 0.669 -3.484
-1.356 -2.218 -5.196
-3.679 0.619 0.143
-2.590 3.352 -3.977
-0.939 -2.707 -2.393
-2.678 -0.469 -7.059
-4.180 -2.557 -5.943
-3.667 -3.243 -3.130
-3.405 2.191 -6.553
-6.110 -1.991 -3.990
-5.568 -0.934 -1.370
-5.046 2.263 -1.781
-0.801 1.179 -5.632
-5.335 2.757 -4.600
-3.340 0.070 -3.701
-6.175 0.130 -6.842
-0.975 0.020 -1.080
-8.540 0.179 -9.463
```

Summary:
Volume in Å³ per atom: 21.58
Uncorrected energy in eV per atom: -3.4241

***

This record from Alexandria via LeMat-Bulk describes crystalline RbGaSe3 at its relaxed geometry. The functional is PBE-GGA.

Cell and atoms, written as POSCAR:
```
RbGaSe3
1.0
-0.920 4.616 -2.175
-4.558 -1.737 -1.758
-2.294 1.600 4.366
Ga Se Rb
1 3 1
Cartesian
0.000 0.000 0.000
-1.147 0.800 2.183
-0.460 2.308 -1.087
-2.279 -0.869 -0.879
-3.886 2.239 0.217
```

Summary:
Formation energy without anion corrections in eV per atom: -0.31
Volume in Å³ per atom: 27.88
Uncorrected energy in eV per atom: -3.1986

***

This record from Alexandria via LeMat-Bulk describes crystalline TmCdOs at its relaxed geometry. The functional is PBE-GGA.

Cell and atoms, written as POSCAR:
```
TmCdOs
1.0
4.215 0.000 0.000
0.000 4.382 0.000
0.000 2.191 7.461
Cd Os Tm
2 2 2
Cartesian
1.054 2.191 3.683
3.162 4.382 3.778
3.162 2.191 0.564
1.054 4.382 6.897
1.054 4.382 1.355
3.162 2.191 6.106
```

Summary:
Volume in Å³ per atom: 22.97
Uncorrected energy in eV per atom: -5.5342

***

This record from Alexandria via LeMat-Bulk describes crystalline ZrAgSb3 at its relaxed geometry. The functional is PBE-GGA.

Cell and atoms, written as POSCAR:
```
ZrAgSb3
1.0
-0.861 -0.427 -5.446
3.635 -4.160 -0.249
-4.077 -3.618 0.928
Sb Zr Ag
3 1 1
Cartesian
1.817 -2.080 -0.124
-0.430 -0.213 -2.723
-2.039 -1.809 0.464
0.000 0.000 0.000
-0.652 -4.102 -2.383
```

Summary:
E above lowest polymorph in meV per atom: 0
Formation energy without anion corrections in eV per atom: 0.40
Volume in Å³ per atom: 33.82
Uncorrected energy in eV per atom: -4.3516

----------

## one
# Cs2KCdAu (PBE, relaxed)
# **D(E_F)**: 0.6883 states/eV/atom
data_Cs2KCdAu
_space_group_name_H-M_alt 'I m m 2'
_space_group_IT_number 44
_cell_length_a 5.0978
_cell_length_b 6.3005
_cell_length_c 20.0939
_cell_angle_alpha 90.00
_cell_angle_beta 90.00
_cell_angle_gamma 90.00
loop_
_space_group_symop_operation_xyz
'x,y,z'
'-x,-y,z'
'-x,y,z'
'x,-y,z'
'x+1/2,y+1/2,z+1/2'
'-x+1/2,-y+1/2,z+1/2'
'-x+1/2,y+1/2,z+1/2'
'x+1/2,-y+1/2,z+1/2'
loop_
_atom_site_label
_atom_site_type_symbol
_atom_site_fract_x
_atom_site_fract_y
_atom_site_fract_z
Cs1 Cs 0.0000 0.0000 0.0000
Cs2 Cs 0.0000 0.0000 0.3176
K1 K 0.0000 0.0000 0.6886
Cd1 Cd 0.0000 0.0000 0.5141
Au1 Au 0.0000 0.5000 0.0800

## two
____________


Decrease reference count of the Primitive. If recount reaches zero, Primitive is automatically disposed when last referencing mesh is removed from scene.


Return a local collider for the primitive

getMaterialIndexes(material:Int):{start:Int, count:Int}

Returns the number and offset of indexes for the specified material


Increase reference count of the Primitive.


Select the specified sub material before drawin. Used for internal usage.


Return the primitive type.